The Kariton Empowerment Center, Inc. was founded to campaign for a more descent life condition for street families. It was born when we, the founders were faced with the inhuman living conditions of many families living along the streets where we passed each day. Believing that God is for the poor and conscious that the belief they follow teaches that doing good for the poor is an intrinsic responsibility of a faithful, an expected human endeavor, and a Godly act, we ventured into possibilities of calling attention to the plight of street families around. Nevertheless, we also believed that many among them have potentials to tap if given equal opportunity, and we strived to use donations and aids received to uplift their self-esteem, discover and use their talents creatively and productively, and giving them space to encounter God where they feel comfortable and accepted.

Kariton Empowerment Center, Inc. (KEC) is a registered Non-Government Organization under the Philippine Securities and Exchange Commission in 2009. Officially founded in July 2007, by Ms Cynthia P. Calubaquib and Dr. Nicole Tilman with Mr. Ed Legson as its first organizer.
_Unrelated to this piece: data records_
- - -
[1]
Below is a geometry-optimized Na10Zn4In4Si3S9O48 structure, with properties calculated at the PBE level.

VASP energy	-5.796	eV/atom
crystal system	triclinic
calculated volume	3217.6	Å³ per cell
energy relative to the elements	-2.113	eV/atom

a = 18.0448 Å, b = 9.0275 Å, c = 22.8544 Å
α = 89.82°, β = 88.68°, γ = 120.16°
Last column: nearest neighbours and their distance in Å.
Element x y z (fractional)
O: 0.6810 0.5119 0.0778  1 Si 1.64
O: 0.7456 0.1342 0.9191  1 S 1.51
O: 0.7358 0.1537 0.2434  1 S 1.47
O: 0.5775 0.6856 0.7568  1 S 1.50
O: 0.0752 0.6768 0.7577  1 S 1.51
O: 0.5768 0.4708 0.2545  1 S 1.51
O: 0.8486 0.5518 0.5321  1 S 1.48
O: 0.9316 0.5086 0.4221  1 S 1.51
O: 0.2525 0.6698 0.2529  1 Si 1.66
O: 0.0711 0.6820 0.4667  1 S 1.46
O: 0.3226 0.1255 0.1353  1 S 1.46
O: 0.6766 0.8430 0.5807  1 Si 1.66
O: 0.5695 0.4567 0.9688  1 S 1.46
O: 0.2231 0.2848 0.0282  1 Si 1.63
O: 0.9031 0.8229 0.9114  1 S 1.48
O: 0.1495 0.8362 0.2579  1 S 1.51
O: 0.1060 0.0313 0.3019  1 S 1.47
O: 0.1549 0.8576 0.9705  1 S 1.47
O: 0.5750 0.6988 0.4740  1 Si 1.61
O: 0.2559 0.8255 0.7546  1 Si 1.70
O: 0.7568 0.8275 0.7558  1 Si 1.67
O: 0.9049 0.9895 0.4110  1 S 1.47
O: 0.1527 0.4575 0.4683  1 S 1.46
O: 0.3231 0.1323 0.4212  1 S 1.47
O: 0.6536 0.8414 0.2551  1 S 1.49
O: 0.5891 0.1519 0.0891  1 Si 1.66
O: 0.9079 0.8053 0.5861  1 S 1.51
O: 0.4033 0.8222 0.9120  1 S 1.47
O: 0.7643 0.8914 0.3667  1 S 1.49
O: 0.6556 0.8578 0.9704  1 S 1.48
O: 0.5995 0.2265 0.6991  1 S 1.47
O: 0.3906 0.8097 0.1880  1 Si 1.64
O: 0.0972 0.9690 0.1967  1 S 1.50
O: 0.4105 0.8029 0.5869  1 S 1.52
O: 0.2434 0.3615 0.4201  1 S 1.50
O: 0.4086 0.7855 0.3066  1 Si 1.61
O: 0.7395 0.3688 0.1426  1 Si 1.62
O: 0.4448 0.5239 0.1369  1 S 1.47
O: 0.7364 0.3231 0.7463  1 S 1.50
O: 0.0867 0.1975 0.4114  1 S 1.47
O: 0.9316 0.3547 0.9221  1 S 1.50
O: 0.5115 0.2017 0.9133  1 S 1.47
O: 0.4204 0.5369 0.7450  1 S 1.47
O: 0.5713 0.6586 0.0753  1 S 1.48
O: 0.5190 0.8102 0.6969  1 S 1.51
O: 0.9210 0.5348 0.7459  1 S 1.48
O: 0.7543 0.6408 0.5791  1 S 1.48
O: 0.8501 0.1465 0.0289  1 S 1.48
O: 0.5973 0.9735 0.1968  1 S 1.50
O: 0.9289 0.5459 0.0315  1 S 1.49
O: 0.4886 0.7985 0.0869  1 S 1.50
O: 0.3995 0.9758 0.4114  1 S 1.48
O: 0.7789 0.8644 0.4722  1 S 1.48
O: 0.3488 0.5527 0.5315  1 S 1.49
O: 0.3259 0.5121 0.9218  1 S 1.49
O: 0.9172 0.7921 0.3027  1 Si 1.60
O: 0.4289 0.5468 0.0315  1 S 1.49
O: 0.3238 0.5268 0.6385  1 S 1.47
O: 0.2665 0.6381 0.8637  1 S 1.51
O: 0.4182 0.5002 0.4213  1 Si 1.66
O: 0.5183 0.2266 0.1978  1 S 1.50
O: 0.9874 0.7853 0.8046  1 S 1.46
O: 0.9888 0.1922 0.3044  1 S 1.46
O: 0.2622 0.8845 0.3652  1 S 1.49
O: 0.8231 0.1262 0.1353  1 S 1.46
O: 0.5847 0.0023 0.5887  1 Si 1.66
O: 0.9073 0.0117 0.0857  1 S 1.50
O: 0.0878 0.0144 0.5869  1 Si 1.64
O: 0.0562 0.6406 0.3606  1 S 1.51
O: 0.4224 0.3125 0.2452  1 S 1.48
O: 0.6075 0.1836 0.8040  1 S 1.46
O: 0.6090 0.0312 0.3023  1 S 1.48
O: 0.8241 0.1399 0.4220  1 S 1.51
O: 0.9842 0.1750 0.5878  1 S 1.50
O: 0.2450 0.1345 0.9198  1 S 1.50
- - -
In our first ocular visits, there were many among them who just had push carts that served as their homes and when it was too small for the family, the rest would spread cartons along the sidewalk to sleep on. We hiked for an hour or so after office hours to survey where they were found or to search for them when they had to flee from authorities who drove them away from their usual place. Our conversations usually lasted for two hours during our encounters with them
– listening to their stories. It took some time to understand their situation and when we did, and after gathering the facts about their situation, we conducted a forum to call the attention of the local government and the Department of Social Welfare. This has borne fruit when Kariton Empowerment Center was called by the DSWD, Quezon City to name some of its beneficiaries to be included in the 4 Ps Program and which included other street dwellers like in its programs for the homeless.
Our after-work and week-end encounters with them led us to deeper insights and reflections of who we are, what life is really all about and what does it really mean to profess our Catholic Christian faith. Our reflections and thoughts may also be read at: Calubaquib, Cynthia and Tilman, Nicole (2019) “Regaining Dignity and Social Inclusion: Street Homelessness in Manila and Strategies From Below,” Journal of Vincentian Social Action: Vol. 4 : Iss. 1 , Article 11. Available at: scholar.stjohns.edu.
Kariton Empowerment Center, Inc. carries it mission of rehabilitating street dwellers and organizing them to form a self-help group to regain their dignity through the following: organizing, values formation and education, livelihood programs, networking and advocacy and support services such as feeding, medical, legal and counselling services or referrals, and tutorials for children. It envisions itself to be a compassionate companion among street dwellers in seeking better options in their situation, discover their capacities, and finding their voice as a sector so that they too can be heard in our society. As a companion, it commits itself to lead those who are homeless that are willing to do something about their situation, connect those who are willing to contribute and find meaning in this endeavor no matter how little it may be. Inspired by the Syro-Phoenician woman’s story in the Scripture, our

slogan goes: Even just with your crumbs, the lives of our beneficiaries will move on. A drop of water when constant and continuous creates a pool. A pool of water eventually overflows. If contained to be stopped, it will burst and destroy. If allowed to flow, will build, create and allow others to grow.